NKU Team Published Major Breakthrough in Inorganic Synthesis and Coordination Chemistry in Science


The latest findings of research by Nankai University were published online in Science, on November 17. The study, entitled “An all-metal fullerene: [K@Au12Sb20]5-”, reported the synthesis and bonding mechanism of all-metal fullerene [K@Au12Sb20]5- (Figures 1-2), demonstrating a new compound synthesis technology and the application of precise regulation of metallic bonds in structural chemistry. It offers a refreshingly novel idea for the creation of new materials. This groundbreaking achievement highlights the important position of Nankai University in the field of synthetic chemistry and coordination chemistry of main group metal elements.

Figure 1: Schematic diagram of cluster structure of all-metal fullerene [K@Au12Sb20]5-, with purple denoting potassium atoms, yellow denoting gold atoms, and blue denoting antimony atoms

A research group led by Dr. Zhong-Ming Sun, a professor at the School of Materials Science and Engineering of Nankai University, successfully prepared all-metal fullerenes [K@Au12Sb20]5- by developing a new synthesis method that combines high-temperature solid-phase synthesis with organometallic chemistry. 

The title compound exhibits a structure that approximates to that of an Archimedean dodecahedron, with each side composed of an antimony pentagonal plane that contains one gold atom and an inner diameter of approximately 0.90 nanometers, slightly larger than the diameter of a C60 molecule (0.71 nanometers). Only one potassium cation is embedded in this large cavity of the cluster, which does not need the protection of organic ligands, while its structure can still maintain good chemical stability. This makes it the pure inorganic compound closest to fullerene in the coordination environment to date.

(Someone pasted materials data at this point)
'''
Entry 1:
A plane-wave DFT calculation with PBE-GGA was carried out for SnN4F8 after structural relaxation.

- total moment (μB per atom) = 0.308
- ΔH_f (0 K) (eV per formula unit) = -11.95
- space-group type = Pccn, No. 56

a = 6.0341 Å, b = 10.6454 Å, c = 14.8439 Å
α = 90.00°, β = 90.00°, γ = 90.00°
Element x y z (fractional)
Sn 0.7500 0.1260 0.7500
Sn 0.2500 0.3740 0.2500
Sn 0.7500 0.6260 0.7500
Sn 0.2500 0.8740 0.2500
N 0.2779 0.8151 0.9290
N 0.7221 0.6849 0.4290
N 0.7075 0.5913 0.0885
N 0.7779 0.1849 0.4290
N 0.7221 0.1849 0.0710
N 0.7075 0.0913 0.4115
N 0.2075 0.4087 0.5885
N 0.2221 0.8151 0.5710
N 0.2925 0.4087 0.9115
N 0.2075 0.9087 0.9115
N 0.7779 0.6849 0.0710
N 0.7925 0.0913 0.0885
N 0.2925 0.9087 0.5885
N 0.2221 0.3151 0.9290
N 0.2779 0.3151 0.5710
N 0.7925 0.5913 0.4115
F 0.5116 0.9970 0.7719
F 0.2462 0.1509 0.9856
F 0.5158 0.7554 0.7267
F 0.2462 0.6509 0.5144
F 0.1801 0.8762 0.1178
F 0.2538 0.6509 0.9856
F 0.7538 0.3491 0.4856
F 0.2538 0.1509 0.5144
F 0.8199 0.1238 0.8822
F 0.0116 0.5030 0.2281
F 0.7462 0.8491 0.4856
F 0.8199 0.6238 0.6178
F 0.0116 0.0030 0.2719
F 0.0158 0.7446 0.2733
F 0.5116 0.4970 0.7281
F 0.3199 0.8762 0.3822
F 0.4842 0.7446 0.2267
F 0.7462 0.3491 0.0144
F 0.0158 0.2446 0.2267
F 0.1801 0.3762 0.3822
F 0.7538 0.8491 0.0144
F 0.4842 0.2446 0.2733
F 0.9884 0.4970 0.7719
F 0.4884 0.5030 0.2719
F 0.4884 0.0030 0.2281
F 0.5158 0.2554 0.7733
F 0.9884 0.9970 0.7281
F 0.6801 0.6238 0.8822
F 0.3199 0.3762 0.1178
F 0.9842 0.2554 0.7267
F 0.9842 0.7554 0.7733
F 0.6801 0.1238 0.6178

Entry 2:
A plane-wave DFT calculation with PBE-GGA was carried out for Cs2TbO3 after structural relaxation.

- total moment (μB per atom) = 0.167
- ΔH_f (0 K) (eV per formula unit) = -13.72
- space-group type = Cmc2_1, No. 36

a = 7.0196 Å, b = 7.0196 Å, c = 6.4811 Å
α = 90.00°, β = 90.00°, γ = 112.66°
Element x y z (fractional)
O 0.3600 0.3600 0.0939
O 0.8997 0.1405 0.7595
O 0.6400 0.6400 0.5939
O 0.1003 0.8595 0.2595
O 0.1405 0.8997 0.7595
O 0.8595 0.1003 0.2595
Tb 0.0920 0.0920 0.0242
Tb 0.9080 0.9080 0.5242
Cs 0.8069 0.4797 0.9950
Cs 0.1931 0.5203 0.4950
Cs 0.4797 0.8069 0.9950
Cs 0.5203 0.1931 0.4950

Entry 3:
A plane-wave DFT calculation with PBE-GGA was carried out for Rb2HgSbCl6 after structural relaxation.

- total moment (μB per atom) = 0.001
- ΔH_f (0 K) (eV per formula unit) = -15.61
- space-group type = Fm-3m, No. 225

a = 7.8330 Å, b = 7.8330 Å, c = 7.8330 Å
α = 60.00°, β = 60.00°, γ = 60.00°
Element x y z (fractional)
Cl 0.7613 0.2387 0.7613
Cl 0.7613 0.2387 0.2387
Cl 0.2387 0.7613 0.2387
Cl 0.2387 0.2387 0.7613
Cl 0.7613 0.7613 0.2387
Cl 0.2387 0.7613 0.7613
Sb 0.0000 0.0000 0.0000
Hg 0.5000 0.5000 0.5000
Rb 0.2500 0.2500 0.2500
Rb 0.7500 0.7500 0.7500

Entry 4:
A plane-wave DFT calculation with PBE-GGA was carried out for AlCu3 after structural relaxation.

- ΔH_f (0 K) (eV per formula unit) = -0.66
- space-group type = Fm-3m, No. 225

a = 4.1273 Å, b = 4.1273 Å, c = 4.1273 Å
α = 60.00°, β = 60.00°, γ = 60.00°
'''

Figure 2: Bonding modes and molecular orbital of [K@Au12Sb20]5- cluster

On the one hand, the stability of this exposed heavy metal globular cluster is achieved as a result of the central potassium ion acting as a template support. On the other hand, the peculiar heterogenous metallic bond between gold and antimony plays a crucial role in maintaining the overall structural integrity (Figure 2). 

Figure 3: Electronic structure analysis of [K@Au12Sb20]5-

********
[1]
# Ca5P12Ir19

Ca5P12Ir19 after structural relaxation (r²SCAN, the Materials Project).

Cell lengths 12.6066, 12.6066, 3.9756 Å; angles 90.00, 90.00, 120.00 degrees
Space group P-62m (No. 189)
Inequivalent atoms, fractional coordinates:
Ca1 0.0000 0.1823 0.0000 (multiplicity 3)
Ca2 0.3333 0.6667 0.5000 (multiplicity 2)
P1 0.0000 0.3578 0.5000 (multiplicity 3)
P2 0.0000 0.8195 0.5000 (multiplicity 3)
P3 0.1731 0.6891 0.0000 (multiplicity 6)
Ir1 0.0000 0.0000 0.5000 (multiplicity 1)
Ir2 0.0000 0.5380 0.5000 (multiplicity 3)
Ir3 0.0000 0.7136 0.0000 (multiplicity 3)
Ir4 0.1307 0.4924 0.0000 (multiplicity 6)
Ir5 0.1807 0.8024 0.5000 (multiplicity 6)



[2]
# Ca4P7Ir8

Ca4P7Ir8 after structural relaxation (r²SCAN, the Materials Project).

Cell lengths 12.559, 3.958, 13.092 Å; angles 90.00, 98.92, 90.00 degrees
Space group P2_1/m (No. 11)
Inequivalent atoms, fractional coordinates:
Ca1 0.014 0.250 0.209 (multiplicity 2)
Ca2 0.216 0.750 0.606 (multiplicity 2)
Ca3 0.286 0.750 0.934 (multiplicity 2)
Ca4 0.397 0.750 0.292 (multiplicity 2)
P1 0.029 0.250 0.628 (multiplicity 2)
P2 0.110 0.250 0.938 (multiplicity 2)
P3 0.190 0.750 0.188 (multiplicity 2)
P4 0.241 0.250 0.420 (multiplicity 2)
P5 0.345 0.250 0.781 (multiplicity 2)
P6 0.409 0.250 0.088 (multiplicity 2)
P7 0.444 0.750 0.599 (multiplicity 2)
Ir1 0.054 0.250 0.451 (multiplicity 2)
Ir2 0.077 0.750 0.028 (multiplicity 2)
Ir3 0.161 0.750 0.358 (multiplicity 2)
Ir4 0.163 0.250 0.773 (multiplicity 2)
Ir5 0.229 0.250 0.104 (multiplicity 2)
Ir6 0.417 0.250 0.501 (multiplicity 2)
Ir7 0.439 0.750 0.774 (multiplicity 2)
Ir8 0.486 0.250 0.925 (multiplicity 2)



[3]
# Ca3Si4Ir4

Ca3Si4Ir4 after structural relaxation (r²SCAN, the Materials Project).

Cell lengths 7.432, 7.432, 7.432 Å; angles 90.00, 90.00, 90.00 degrees
Space group I-43m (No. 217)
Inequivalent atoms, fractional coordinates:
Ca1 0.000 0.000 0.500 (multiplicity 6)
Si1 0.183 0.183 0.817 (multiplicity 8)
Ir1 0.139 0.139 0.139 (multiplicity 8)



[4]
# Ca2SiIr2

Ca2SiIr2 after structural relaxation (r²SCAN, the Materials Project).

Cell lengths 9.692, 5.817, 7.312 Å; angles 90.00, 100.54, 90.00 degrees
Space group C2/c (No. 15)
Inequivalent atoms, fractional coordinates:
Ca1 0.146 0.131 0.139 (multiplicity 8)
Si1 0.000 0.435 0.750 (multiplicity 4)
Ir1 0.133 0.357 0.510 (multiplicity 8)



[5]
# CaSn2Ir

CaSn2Ir after structural relaxation (r²SCAN, the Materials Project).

Cell lengths 4.342, 10.842, 7.600 Å; angles 90.00, 90.00, 90.00 degrees
Space group Cmcm (No. 63)
Inequivalent atoms, fractional coordinates:
Ca1 0.000 0.068 0.250 (multiplicity 4)
Sn1 0.000 0.354 0.047 (multiplicity 8)
Ir1 0.000 0.211 0.750 (multiplicity 4)



[6]
# KNaCaMg5Si8O24

KNaCaMg5Si8O24 after structural relaxation (r²SCAN, the Materials Project).

Cell lengths 5.214, 10.078, 10.403 Å; angles 114.90, 97.41, 104.54 degrees
Space group P1 (No. 1)
Inequivalent atoms, fractional coordinates:
K1 0.000 0.000 0.000 (multiplicity 1)
Na1 0.721 0.212 0.432 (multiplicity 1)
********

Theoretical calculation reveals that one of the most salient features of the molecule is its 3D spherical aromatic electronic structure, which forms a delocalized π electron cloud on the surface of the cluster. It endows the all-metal fullerene compounds with unique physical characteristics (Figure 3). This discovery is expected to play an important role in optoelectronic materials, room-temperature catalysis and other fields, with a promising application potential. 

Chemical & Engineering News reported that the inorganic fullerene might assist chemists in crafting and synthesizing other nanostructures with a precise structure. Professor Andreas Schnepf, a chemist at the University of Tübingen in Germany, said that such molecule has eye-catching bonding properties, adding that these clusters may exhibit interesting reactivity and application potential in solution. 

The Zhong-Ming Sun group has been committed to studying synthetic chemistry and coordination chemistry of main-group metal elements. The publication of research results on the synthesis and bonding mechanism of all-metal fullerene [K@Au12Sb20]5- symbolizes the important progress and breakthrough made by Nankai University in this research field. 



(Edited and translated by Nankai News Team.)